Retype every line underneath that contains the word "UNi2Ir2".

+++
[1]
This record from the Alexandria database describes crystalline U2Ni15Ir2 at its relaxed geometry. The functional is GGA-PBE.

Results
Volume: 12.7 A^3/atom
E_tot: -389.88 eV/cell
Formation energy: -0.1547 eV/atom
M_tot: 3.393 μB per formula unit

Cell: 8.2966 8.2966 12.1610 Å, 90.00 90.00 120.00°
Space group R-3m (No. 166, hexagonal axes)
Symmetry-distinct sites (fractional):
U 0.0000 0.0000 0.1669 x6
Ni 0.0000 0.3012 0.5000 x18
Ni 0.0000 0.5000 0.0000 x9
Ni 0.0095 0.5047 0.6517 x18
Ir 0.0000 0.0000 0.3916 x6



[2]
This record from the Alexandria database describes crystalline UNi4Ir at its relaxed geometry. The functional is GGA-PBE.

Results
Volume: 13.3 A^3/atom
E_tot: -180.47 eV/cell
Formation energy: -0.3072 eV/atom
M_tot: 0.436 μB per formula unit

Cell: 6.839 6.839 6.839 Å, 90.00 90.00 90.00°
Space group F-43m (No. 216)
Symmetry-distinct sites (fractional):
U 0.000 0.000 0.000 x4
Ni 0.124 0.124 0.624 x16
Ir 0.250 0.250 0.250 x4



[3]
This record from the Alexandria database describes crystalline UNi2Ir2 at its relaxed geometry. The functional is GGA-PBE.

Results
Volume: 15.0 A^3/atom
E_tot: -84.15 eV/cell
Formation energy: -0.3003 eV/atom
M_tot: 0.000 μB per formula unit

Cell: 3.982 4.725 8.778 Å, 91.39 90.05 114.87°
Space group P-1 (No. 2)
Symmetry-distinct sites (fractional):
U 0.103 0.205 0.299 x2
Ni 0.199 0.399 0.605 x2
Ni 0.295 0.590 0.905 x2
Ir 0.000 0.000 0.000 x1
Ir 0.397 0.794 0.191 x2
Ir 0.500 0.000 0.500 x1

----------

No. 1
Li2ZnCd | PBE | optimized geometry

**Calculated total energy**: -1.70 eV/atom
**Formation enthalpy at 0 K**: -191 meV per atom
**Space group**: P2/m

abc: 3.3343 3.0639 7.1822
angles: 64.88 90.00 90.00
Last column: nearest neighbours and their distance in Å.
Positions (direct):
Zn 0.5000 0.2500 0.2500  8 Li 2.71-2.72
Li 0.0000 0.9804 0.0194  4 Zn 2.71-2.72, 4 Cd 2.86-2.87, 1 Li 3.00
Li 0.0000 0.5196 0.4806  4 Zn 2.71-2.72, 4 Cd 2.86-2.87, 1 Li 3.00
Cd 0.5000 0.7500 0.7500  8 Li 2.86-2.87, 2 Cd 3.06

=====

No. 2
LiZn3Cd3 | PBE | optimized geometry

**Calculated total energy**: -0.85 eV/atom
**Formation enthalpy at 0 K**: 357 meV per atom
**Space group**: Pm-3n

abc: 7.4839 7.4839 7.4839
angles: 90.00 90.00 90.00
Last column: nearest neighbours and their distance in Å.
Positions (direct):
Zn 0.0000 0.2500 0.5000  4 Cd 2.65
Zn 0.0000 0.7500 0.5000  4 Cd 2.65
Zn 0.5000 0.0000 0.7500  4 Cd 2.65
Zn 0.7500 0.5000 0.0000  4 Cd 2.65
Zn 0.5000 0.0000 0.2500  4 Cd 2.65
Zn 0.2500 0.5000 0.0000  4 Cd 2.65
Li 0.5000 0.5000 0.5000  12 Zn 4.18, 12 Cd 4.18
Li 0.0000 0.0000 0.0000  12 Cd 4.18, 12 Zn 4.18
Cd 0.2500 0.0000 0.5000  4 Zn 2.65
Cd 0.0000 0.5000 0.2500  4 Zn 2.65
Cd 0.5000 0.7500 0.0000  4 Zn 2.65
Cd 0.7500 0.0000 0.5000  4 Zn 2.65
Cd 0.0000 0.5000 0.7500  4 Zn 2.65
Cd 0.5000 0.2500 0.0000  4 Zn 2.65

=====

No. 3
Li3Zn2Cd7 | PBE | optimized geometry

**Calculated total energy**: -1.32 eV/atom
**Formation enthalpy at 0 K**: -93 meV per atom
**Space group**: P-1

abc: 5.1331 5.2281 10.5933
angles: 75.14 111.78 108.99
Last column: nearest neighbours and their distance in Å.
Positions (direct):
Li 0.5000 0.5000 0.0000  10 Cd 2.95-3.19
Li 0.2351 0.5734 0.6504  3 Zn 2.82-2.98, 5 Cd 3.08-3.16
Li 0.7649 0.4266 0.3496  3 Zn 2.82-2.98, 5 Cd 3.08-3.16
Zn 0.3796 0.6505 0.3937  1 Zn 2.54, 3 Cd 2.69-2.82, 1 Li 2.82
Zn 0.6204 0.3495 0.6063  1 Zn 2.54, 3 Cd 2.69-2.82, 1 Li 2.82
Cd 0.6062 0.9596 0.1747  1 Zn 2.86, 5 Cd 3.01-3.14, 4 Li 3.05-3.19
Cd 0.1704 0.0473 0.4083  3 Zn 2.69-2.96, 2 Cd 2.92-2.96
Cd 0.0000 0.0000 0.0000  8 Cd 2.99-3.14, 2 Li 3.01
Cd 0.3938 0.0404 0.8253  1 Zn 2.86, 5 Cd 3.01-3.14, 4 Li 3.05-3.19
Cd 0.8967 0.5488 0.8475  1 Zn 2.71, 2 Li 2.95-2.98, 6 Cd 2.96-3.03
Cd 0.1033 0.4512 0.1525  1 Zn 2.71, 2 Li 2.95-2.98, 6 Cd 2.96-3.03
Cd 0.8296 0.9527 0.5917  3 Zn 2.69-2.96, 2 Cd 2.92-2.96

=====

No. 4
Li5Zn3Cd | PBE | optimized geometry

**Calculated total energy**: -1.61 eV/atom
**Formation enthalpy at 0 K**: -15 meV per atom
**Space group**: C2/m

abc: 6.0138 6.0138 10.9516
+++

This record from the Alexandria database describes crystalline UNi2Ir2 at its relaxed geometry. The functional is GGA-PBE.